# Proiect OOP
Anul 2, Semestrul 1
Facultatea "Automatica si calculatoare" CTI
Univeristatea "Politehnica" Bucuresti

Văideanu Renata - Georgia
322 CD

- input package -> is mainly used for implementing the parameters received in the input, making
sure that everything is placed in the right structure.
    user package -> creates the fields necessary for all the parameters that can be received
        when getting the user from input.
    filter package -> creates the fields necessary for all the parameters that can be received
        when getting the filters from input. It will be used for the case filter.
    Const class -> is used for implementing the constants used in the code, so there won't
        be any magic numbers
    Input class -> contains 3 array lists: users, movies and actions.
    MovieInput class -> creates the fields necessary for all the parameters that can be received
        when getting a movie from input.
    ActionInput class -> creates the fields necessary for all the parameters that can be received
        when getting the actions from input.

Added class: Notifications was added to the input -> user package and it is used to define
             the fields for the notifications that will occur at the end of the action iteration,
             with the help of a queue.

pages package -> is used for implementing the pages and the actions that can be done on every one
of them.
    Page class -> is the main page template that is going to be used for all the pages to extend.
    Login class -> used for the login on page and change page actions. Both of them will be
        extended from the page class.
    Register class -> used for the register on page and change page actions. Both of them will be
        extended from the page class.
    Movies class -> used for the movies on page and change page actions. The class will extend
        the page class. The methods in this class will be the ones for changing and on page
        (search, filter, purchase, like, rate, watch).
    SeeDetails class -> used for the change page -> see details action.
    Upgrades class -> used for the upgrades actions chose by the user.

Added classes: NotAuthenticated -> specific for the non authenticated user.
               PageFactory -> used for the factory coding style.
               PageStack -> used for the implementation of the stack of pages, used for the
               push and pop methods.

workflow package -> is used for the workflow itself. It is divided in three packages:
    Actions class -> used to go through all the actions that
    Errors class -> used for testing if there are any errors that may prevent the user from
        changing the page or from applying a feature.
    OutPrint -> used for displaying the output for the necessary cases.

Added class: Database -> used for the add (addMovie)/ delete (deleteMovie) methods when a movie
             is added/ deleted. The methods will be implemented with the help of the notify
             methods (notifyDelete / notifyAdd) that will notify the users when a movies is
             being deleted or added, based on the specific cases.
             In the Actions class, the case "back" was added, for when a user wants to go back
             to the previous page, with the help of the stack implementation.

-- These materials data were left in the entry by mistake --
Entry from Alexandria via LeMat-Bulk: a geometry-optimized LiCu2Os structure (PBE).

Cell and atoms, written as POSCAR:
```
LiCu2Os
1.0
2.5475 0.0000 0.0000
0.0000 2.5475 0.0000
0.0000 0.0000 8.0981
Li Cu Os
1 2 1
Cartesian
0.0000 0.0000 0.0000
0.0000 0.0000 4.1549
1.2738 1.2738 6.0177
1.2738 1.2738 2.1183
```

Output
N(E_F): 0.776 states/eV per atom
Energy relative to the lowest polymorph listed for this composition: 0.1556 eV/atom
ΔH_f (0 K): 0.236 eV/atom
Space group: P4mm



Entry from Alexandria via LeMat-Bulk: a geometry-optimized Li2CuOs structure (PBE).

Cell and atoms, written as POSCAR:
```
Li2CuOs
1.0
2.4929 0.0000 0.0000
0.0000 4.4646 0.0000
-0.2162 0.0000 4.7070
Li Cu Os
2 1 1
Cartesian
0.4008 0.0000 1.1146
1.8759 0.0000 3.5924
-0.1081 2.2323 2.3535
1.2464 2.2323 0.0000
```

Output
N(E_F): 0.496 states/eV per atom
Energy relative to the lowest polymorph listed for this composition: 0.0373 eV/atom
ΔH_f (0 K): 0.124 eV/atom
Space group: P2/m



Entry from Alexandria via LeMat-Bulk: a geometry-optimized LiCu2Os structure (PBE).

Cell and atoms, written as POSCAR:
```
LiCu2Os
1.0
1.3174 0.7606 8.7614
-1.3174 0.7606 8.7614
0.0000 -1.5212 8.7614
Li Cu Os
1 2 1
Cartesian
0.0000 0.0000 0.0000
0.0000 0.0000 13.0501
0.0000 0.0000 19.7428
0.0000 0.0000 6.4864
```

Output
N(E_F): 0.710 states/eV per atom
Energy relative to the lowest polymorph listed for this composition: 0.0731 eV/atom
ΔH_f (0 K): 0.153 eV/atom
Space group: R3m

----------

1.
First-principles (PBE) data for crystalline UPaSi2 at its relaxed geometry, as listed in Alexandria.

Its magnetization is 5.1 μB/cell. The value obtained for the electronic total energy is -65.53 eV for the cell shown. Its crystal system is orthorhombic. The value obtained for the energy above the lowest structure with this stoichiometry is 0.000 eV/atom. Its space-group type is Cmcm.

Cell lengths 5.4318, 5.4318, 5.6451 Å; angles 90.00, 90.00, 100.48 degrees
Each line ends with the local moment (μB).
Positions (direct):
Pa  0.8637  0.1260  0.7500  0.10
Pa  0.1260  0.8637  0.2500  0.10
U  0.4949  0.4949  0.0000  2.30
U  0.4949  0.4949  0.5000  2.30
Si  0.3431  0.9846  0.7500  -0.03
Si  0.6467  0.0052  0.2500  -0.03
Si  0.9846  0.3431  0.2500  -0.03
Si  0.0052  0.6467  0.7500  -0.03

---

2.
First-principles (PBE) data for crystalline UPaSi2 at its relaxed geometry, as listed in Alexandria.

Its magnetization is 1.4 μB/cell. The value obtained for the electronic total energy is -31.72 eV for the cell shown. Its crystal system is trigonal. The value obtained for the energy above the lowest structure with this stoichiometry is 0.260 eV/atom. Its space-group type is R-3m.

Cell lengths 3.0791, 3.0791, 9.8033 Å; angles 80.96, 80.96, 60.00 degrees
Each line ends with the local moment (μB).
Positions (direct):
Si  0.2493  0.2493  0.2522  -0.01
Si  0.7507  0.7507  0.7478  -0.01
Pa  0.0000  0.0000  0.0000  -0.03
U  0.5000  0.5000  0.5000  1.39

---

3.

The rating of a movie will be calculated like this: adding all the ratings and dividing it by
the number of times it was rated, only when a movie is rated, the sum of rating and the average
rating will be both saved in the current movie.